Offline Photo & Biometric Capturing (Village level) Introduction to the Operations of Offline Photo and Fingerprint capture program
Pre Operational Requirements Download the Blank Database form Restore Database : restore blank data base with following name pattern: GRCC_Areacode ( ie GRCC_4646 etc) Create User: create a sql user : ‘grcc’ with password:‘grcc123’ Give privilege for accessing the above restored databases to ‘grcc’ user Install window application : Offline Biometric Capturing
Restore Database Restore the blank data base with following name pattern: GRCC_4646 ( AC:Area code )
Create user Select your database server, open security folder, open logins folder Right click and select New Login…
Create user Select SQL server authentication Make new login with Login name : grcc Password : grcc123 Confirm Password : grcc123 Unselect Enforce password policy Default language : British English
Create user Select your Ration Village database Open security folder Open users folder Right click and select New User…
Create user Give user name : grcc Click user … button Click Browse… Select grcc checkbox Then click ok
Create user Select the user Database role membership db_owner
Install Window application Install window Application – Offline Biometric Capturing from :
Install Window application The following Prerequisites are required: Windows Installer 3.1 .NET Framework 3.5 Crystal Reports Basic for Visual Studio 2008 (x86, x64) Microsoft Visual Basic Power Packs 1.2
Set Connection string After installation following screen will required the input of SQL Server name User name Password Your Database name
Set Connection string Select your SQL server name ( Which SQL Server hold your GRCC_AC database ) Type user : grcc Type Password : grcc123 Select your database GRCC_Areacode Click on Test Connection for check your connection is made successful If connection was successful then Click on Finish button
Application at a Glance…. After installation, other way of invoking the application
What comes next are materials data, not part of the text
+++
# 1
Simulated powder diffractogram
Compound: Ac2Pr3Tm6
Radiation: CuKα
Structure: a structure optimized by DFT (GGA-PBE)
Intensities are scaled so that the largest is 100.

The 12 most intense peaks (10 to 90 degrees two-theta), in order of rising 2θ:
two_theta, intensity, hkl
16.6, 3, 1 1 0
17.2, 3, 1 1 -1
30.4, 100, 1 3 1
35.2, 51, 2 0 2
50.7, 36, 0 6 0
60.2, 43, 4 0 0
63.2, 12, 2 6 2
74.5, 6, 4 0 4
82.4, 3, 1 9 1
82.5, 15, 4 6 0
85.1, 14, 5 3 1
85.2, 3, 3 3 7

```
data_Ac2Pr3Tm6
_chemical_formula_sum 'Ac4 Pr6 Tm12'
_cell_length_a 6.2404
_cell_length_b 10.8181
_cell_length_c 11.9456
_cell_angle_alpha 90.00
_cell_angle_beta 100.07
_cell_angle_gamma 90.00
_space_group_name_H-M_alt 'C 1 2/m 1'
_space_group_IT_number 12
loop_
_space_group_symop_operation_xyz
'x,y,z'
'-x,-y,-z'
'-x,y,-z'
'x,-y,z'
'x+1/2,y+1/2,z'
'-x+1/2,-y+1/2,-z'
'-x+1/2,y+1/2,-z'
'x+1/2,-y+1/2,z'
loop_
_atom_site_label
_atom_site_fract_x
_atom_site_fract_y
_atom_site_fract_z
_atom_site_occupancy
Ac1 0.0000 0.1667 0.0000 1
Pr1 0.0000 0.0000 0.5000 1
Pr2 0.0000 0.3350 0.5000 1
Tm1 0.2464 0.5000 0.7433 1
Tm2 0.2483 0.1660 0.7435 1
```

=====

# 2
Simulated powder diffractogram
Compound: AcPr6Tm
Radiation: CuKα
Structure: a structure optimized by DFT (GGA-PBE)
Intensities are scaled so that the largest is 100.

The 12 most intense peaks (10 to 90 degrees two-theta), in order of rising 2θ:
two_theta, intensity, hkl
16.8, 2, 0 0 2
23.9, 2, 1 1 0
25.4, 1, 0 0 3
29.4, 100, 1 1 2
34.1, 51, 2 0 0
38.2, 1, 2 0 2
49.0, 37, 2 2 0
58.1, 44, 3 1 2
61.0, 13, 2 2 4
71.7, 6, 4 0 0
79.4, 17, 3 3 2
81.9, 16, 4 2 0

```
data_AcPr6Tm
_chemical_formula_sum 'Ac1 Pr6 Tm1'
_cell_length_a 5.2631
_cell_length_b 5.2631
_cell_length_c 10.5224
_cell_angle_alpha 90.00
_cell_angle_beta 90.00
_cell_angle_gamma 90.00
_space_group_name_H-M_alt 'P 4/m m m'
_space_group_IT_number 123
_space_group_name_Hall '-P 4 2'
loop_
_atom_site_label
_atom_site_fract_x
_atom_site_fract_y
_atom_site_fract_z
_atom_site_occupancy
Ac1 0.0000 0.0000 0.0000 1
Pr1 0.0000 0.5000 0.2587 1
Pr2 0.5000 0.5000 0.0000 1
Pr3 0.5000 0.5000 0.5000 1
Tm1 0.0000 0.0000 0.5000 1
```

=====

# 3
Simulated powder diffractogram
Compound: Ac2Pr7Tm4
Radiation: CuKα
Structure: a structure optimized by DFT (GGA-PBE)
Intensities are scaled so that the largest is 100.

The 12 most intense peaks (10 to 90 degrees two-theta), in order of rising 2θ:
two_theta, intensity, hkl
27.0, 24, 0 0 4
28.0, 25, 1 1 0
28.8, 29, 2 -1 1
31.1, 100, 1 1 2
31.5, 22, 1 0 4
34.7, 27, 2 -1 3
49.5, 27, 3 0 0
50.3, 17, 1 1 6
57.3, 14, 3 0 4
59.6, 13, 4 -2 2
77.6, 10, 3 0 8
81.1, 11, 4 1 2

```
data_Ac2Pr7Tm4
_chemical_formula_sum 'Ac2 Pr7 Tm4'
_cell_length_a 6.3778
_cell_length_b 6.3778
_cell_length_c 13.2316
_cell_angle_alpha 90.00
_cell_angle_beta 90.00
_cell_angle_gamma 120.00
_space_group_name_H-M_alt 'P -3 1 m'
_space_group_IT_number 162
_space_group_name_Hall '-P 3 2'
loop_
_atom_site_label
_atom_site_fract_x
_atom_site_fract_y
_atom_site_fract_z
_atom_site_occupancy
+++
Application at a Glance…. After set connection string this screen will required your User name Password
Application at a Glance…. After login successful this screen will required Login Biometric Verification Select Device (Biometric Device ) Finger
Set Area Code After successful login your Application (Biometric Data Capture : Form 1 ) first screen will come for set your Area ( this is one time process) Check your District and Taluka name Select Your Area Code Click on Save button
Set Area Code After set your area your application login screen will come Select your Area Give password : abcd@abcd Click Ok
Application at a Glance…. Application main page is look like this
Application at a Glance…. Data Menu Set Area Code Set Certifying Authority Download Data Upload Data Summery Sheet Finger Print Capture Biometric Data Utility Configure Local Database
Set Certifying Authority Click on Set Certifying Authority Capture Photo of Certifying Authority (At village level who will be available for verifing villager’s biometrics) Capture Biometric of Certifying Authority
Set Certifying Authority After Capture finger print it must be verified finger print
Download Data Click on Download Data for download data from central server to capture photo and finger print
Download Data For Downloading Data required User name and password and Biometric verification
Download Data After download data double click on row header for capture photo and biometric of client Capture screen will appear Select Select member from the list Select Finger/Thumb pair to be captured (Default thumb and small finger is in the list) If you want to more finger to capture biometric then click on More checkbox for all ten finger
Capture Biometric Data Select finger in Select Finger/Thumb pair to be captured list For Left Capture click on L-Capture after successfully capture then click on L-Verify For Right Capture click on R-Capture after successfully capture then click on R-Verify
Capture Biometric Data For Left Capture Select on list which finger you want to capture Put the finger on biometric device and click on L-Capture After successfully capture you get message “Capture Fingerprint Successfully”
Capture Biometric Data After successfully capture Click on L-Verify After Verify you get message “Verify Success “ Then successfully Capture and Verify you will see the list of Select Finger/Thumb pair to be captured show “L-Yes” or ”R-Yes” for successfully capture , “L-No “ or “R-No” for capture not to be down
Capture Biometric Data For Right Capture Select on list which finger you want to capture Put the finger on biometric device and click on R-Capture After successfully capture you get message “Capture Fingerprint Successfully”
Capture Biometric Data After successfully capture Click on R-Verify After Verify you get message “Verify Success “ Then successfully Capture and Verify you will see the list of Select Finger/Thumb pair to be captured show “L-Yes” or ”R-Yes” for successfully capture , “L-No “ or “R-No” for capture not to be down
Capture Biometric Data If you want to more finger the Click on More checkbox It will show ten finger for capture biometric data
Authority Verification After successfully capture one family member biometric data Click on Authority Verification Authority Verification required Authority biometric verification
Authority Verify After successfully Authority Verify you get message “Data successfully Certified ”
Upload Data For Upload fingerprint captured click on Upload Data
Upload Data After successfully upload data you get Data has been successfully uploaded and saved to central server
Summary sheet Summary Sheet for check your data Downloaded (Total cards downloaded from central server) Pending (Not a single member’s Finger print captured) Captured (At least one member’s Fingerprint captured) Verified (biometric verified by authority) Uploaded (Total cards uploaded onto central server)
Application at a Glance…. If you want to open ration card wise detail, click on fingerprint menu and Capture biometric data sub menu It will show capture biometric data screen Enter new bar-coded ration card number and click on search button Select family member for capture biometric and capture photo and biometric
T H A N K S… National Informatics Centre Gujarat State Unit Block No #13 2nd Floor New Sachivalaya Gandhinagar Gujarat